ENSAE Paris - École d'ingénieurs pour l'économie, la data science, la finance et l'actuariat

Economics of Energy Markets


This course aims at:

(The entry is interrupted by materials data)
[1]
Starting from a structure optimized by DFT (PBE), the XRD peak list of KRbIn2I6 was computed for Cu Kα, 1.54184 Å.
Intensities are scaled so that the largest is 100.

Top 10 peaks for 10° ≤ 2θ ≤ 90°, in order of rising 2θ:
2θ/deg	I_rel
14.40	63.4
24.00	100.0
25.06	42.6
29.04	79.6
31.75	27.0
32.53	60.4
35.81	28.3
43.47	30.0
43.59	29.4
56.00	27.1

```
10
Lattice="4.343 2.507 7.121 -4.343 2.507 7.121 0.000 -5.015 7.121" Properties=species:S:1:pos:R:3 pbc="T T T"
K 0.000 0.000 0.000
Rb 0.000 0.000 10.629
In 0.000 0.000 4.612
In 0.000 0.000 15.340
I -1.626 -3.241 9.925
I -2.713 0.654 13.381
I -1.994 3.029 9.925
I 0.790 -2.676 13.381
I 3.620 0.212 9.925
I 1.923 2.023 13.381
```

---

[2]
Starting from a structure optimized by DFT (PBE), the XRD peak list of Cd4InTe was computed for Cu Kα, 1.54184 Å.
Intensities are scaled so that the largest is 100.

Top 10 peaks for 10° ≤ 2θ ≤ 90°, in order of rising 2θ:
2θ/deg	I_rel
29.52	28.0
34.77	100.0
36.37	38.9
52.38	11.0
55.82	32.9
61.28	28.1
72.42	11.1
73.39	13.8
84.78	5.5
87.57	20.6

```
6
Lattice="0.000 4.279 4.279 4.279 0.000 4.279 4.279 4.279 0.000" Properties=species:S:1:pos:R:3 pbc="T T T"
Cd 1.063 1.063 1.063
Cd 3.215 3.215 1.063
Cd 3.215 1.063 3.215
Cd 1.063 3.215 3.215
In 6.418 6.418 6.418
Te 4.279 4.279 4.279
```

---

[3]
Starting from a structure optimized by DFT (PBE), the XRD peak list of TcIr5 was computed for Cu Kα, 1.54184 Å.
Intensities are scaled so that the largest is 100.

Top 10 peaks for 10° ≤ 2θ ≤ 90°, in order of rising 2θ:
2θ/deg	I_rel
37.72	24.6
40.82	25.8
43.10	100.0
56.79	15.2
68.09	17.3
75.90	19.2
80.55	2.8
82.54	20.7
84.07	14.9
88.46	3.0

```
6
Lattice="4.770 0.000 0.000 -2.385 4.131 0.000 0.000 0.000 4.421" Properties=species:S:1:pos:R:3 pbc="T T T"
Tc 0.000 0.000 0.000
Ir -1.593 2.760 2.210
Ir 0.792 1.371 2.210
Ir 0.000 2.754 0.000
Ir 2.385 1.377 0.000
Ir 3.187 0.000 2.210
```

---

[4]
Starting from a structure optimized by DFT (PBE), the XRD peak list of KTeI4 was computed for Cu Kα, 1.54184 Å.
Intensities are scaled so that the largest is 100.

Top 10 peaks for 10° ≤ 2θ ≤ 90°, in order of rising 2θ:
2θ/deg	I_rel
13.94	97.1
15.38	57.6
17.67	94.9
20.72	64.2
22.80	40.1
27.10	77.7
30.38	100.0
33.61	39.1
43.50	50.2
45.12	42.6

```
12
Lattice="6.663 0.000 0.000 0.000 12.707 0.000 -2.038 0.000 8.181" Properties=species:S:1:pos:R:3 pbc="T T T"
K 0.617 3.177 1.374
K 4.009 9.530 6.807
Te 0.679 9.530 3.147
Te 3.946 3.177 5.034
I 0.664 7.323 1.310
I 0.664 11.738 1.310
I 0.618 3.177 4.936
I 0.685 9.530 6.121
I 3.940 3.177 2.060
I 4.007 9.530 3.245
I 3.962 0.969 6.871
I 3.962 5.384 6.871
```


Calculated PXRD pattern
Compound: BaTlP3O9
Radiation: Cu Kα
Structure: the GGA-PBE geometry in Alexandria
Neutral-atom scattering factors, no anomalous dispersion.

Peak list (12 most intense, 2θ from 5° to 70°, in order of rising 2θ)
2θ 10.27, intensity 42, hkl 0 1 1
2θ 15.53, intensity 100, hkl 0 2 0
2θ 20.96, intensity 53, hkl 1 1 2
2θ 21.99, intensity 88, hkl 1 2 1
(Here the entry continues)

  1. developing an understanding of the functioning of energy markets, through the presentation of a variety of relevant concepts and applications;
  2. providing microeconomic and econometric tools of analysis that are useful across many industries beyond energy markets.

The course delivers useful background for public and private sector roles in the energy and environmental industries, regulation, research, trading, investment, think tanks, or consultancies.

This course presents institutional, theoretical and empirical aspects of the economics of energy markets and environmental regulation. Energy consumption is an essential driver of economic activity and the main source of polluting emissions. While energy industries are strongly driven by fundamental economic forces, regulation is an important safeguard to ensure their well-functioning. This course first examines the economic aspects of electricity markets, including its historical and theoretical foundations as well as recent empirical studies. The second part of this course presents the fundamentals of primary energy markets through the theory of exhaustible resources, and the empirical aspects of crude oil and retail gasoline markets. The third part focuses on environmental regulation and the energy transition through the lens of European objectives and policies including emissions markets, energy efficiency, and renewable energy deployment.

Topics covered include: natural monopoly, vertical integration, price regulation, regulation of networks, peak-load pricing, market power, antitrust regulation, pay-as-bid vs uniform price multi-unit auctions, supply function equilibria, transmission congestions, the effect of forward contracting, demand-response, capacity markets, Hotelling rule, oil prices, mergers, environmental taxes and cap-and-trade regulation, the effects of environmental regulation, pass-through of emissions pricing, energy efficiency, rebound effect, energy transition, and renewable energy policies.

Enrolled students are expected to actively participate to class (10% of final grade). The evaluation is composed of :

  1. a short presentation (10-15 minutes) about one of the articles marked by a * in the outline given by the professor (40% of final grade)
  2. a research proposal (5 pages) about a relevant topic related to the course (40% of fi nal grade).

Students are expected to use the concepts covered, state a research question, present economic intuitions, and deliver their own discussion of the methods and results.

At the end of the class, the students must:

  1.  have acquired knowledge about the functioning of energy markets,
  2.  understand the main challenges about energy and environmental policies,
  3.  have a good understanding of the microeconomic and econometric methods of analysis presented in class, and more generally,
  4.  be able to conduct independent research on relevant topics related to energy economics and policy.


I. The electricity industry

  • A brief history from nationalisation to deregulation in Europe and the U.S.

1. Foundations (Sessions 1-2)

  • Evolving paradigms: natural monopoly and competitive markets.
  • Economic efficiency, peak-load pricing, regulatory issues, investment adequacy, and profitability.
  • The aftermath of deregulation: the California crisis, market power and anti-competitive conducts.

2. Market power in electricity markets: theory (Session 3)

  • Multi-unit auctions (pay-as-bid vs. uniform), supply function equilibria, and transmission networks.

3. Market power in electricity markets: empirical studies (Sessions 4 -5)

  • Measuring market power, the effects of forward contracts and the empirical study of bidding behaviors in multi-unit auctions.

4. Investment and capacity markets (Session 6)

  • Peak-load pricing, the fundamentals of capacity markets, and the study of empirical behavior in capacity markets

5. Demand and retail markets (Session 7)

  • The theory of retail competition, the role of demand-response and the econometrics of price elasticities.

II. Other energy markets
1. Exhaustible resources (Session 8)

  • Dynamic management of an exhaustible resource, the Hotelling rule and the empirical economics of oil prices.

2. Retail gasoline (Session 9)

  • Mergers, collusion, Edgeworth cycles and sticky prices in retail gasoline markets.

III. Energy transition and environmental regulation

  • Brief introduction to the energy transition in Europe.

2. Energy efficiency (Session 11)

  • Investment, rebound effect and efficiency gap.

3. Renewable support policies and fossil fuel subsidies (Session 11)

  • Market integration of renewables, support mechanisms and the costs of fossil fuel subsidies.


Extract : 

- Carlton, D. and Perloff, J. (2005). Modern Industrial Organization. The Addison-Wesley series in economics. Pearson/Addison Wesley.
-*Davis, L. W. and Wolfram, C. (2012). Deregulation, consolidation, and efficiency: Evidence from US nuclear power. American Economic Journal: Applied Economics, 4(4):194{225.
-*Fabrizio, K. R., Rose, N. L., and Wolfram, C. D. (2007). Do markets reduce costs? Assessing the impact of regulatory restructuring on US electric generation efficiency. American Economic Review, 97(4):1250{1277.
- Griffin, J. M. and Puller, S. L. (2005). Electricity Deregulation: Choices and Challenges. University of Chicago Press.
- Hansen, J.-P. and Percebois, J. (2017). Transition(s) _ Electrique(s). _Editions Odile Jacob.
- Healy, P. M. and Palepu, K. G. (2003). The fall of Enron. Journal of economic perspectives, 17(2):3{26.
- Rose, N. L. (2014). Economic Regulation and its Reform: What have we learned? University of Chicago Press.